Dirty Girls Moto Adventures

What do you get when you combine two of the best things in life – female friendship and motorcycles? You get women-only motorcycling clubs where women find other like-minded women who love to roll on the throttle, goof off, get into all kinds of trouble and enjoy a good laugh together at the end of a good day’s riding.

The first in this series of women-only riding clubs is the Dirty Girls Moto Adventures group from my very own Washington state. As you can tell from their name, they ride dirt bikes and adventure bikes. While the individual members – most of them are familiar names in the Seattle motorcycling scene – have pretty cool adventures on their own, together they form a formidable force.

Women Who Ride: The Dirty Girls Moto Adventures club

Name: Dirty Girls Moto Adventures
Country: USA (Washington)
Facebook: https://www.facebook.com/DirtyGirlsMotoAdventures
Twitter: dirtygirlsmoto


Please introduce yourselves. Hi! Our group name is Dirty Girls Moto Adventures. We consist of 9 core team members from all walks of life: Tracy Jeffries, Deb Shiell, Gaila Gutierrez, Jill Oliver, Shalmarie Wilson, Kay Miller, Steph Terrian, Laurie Wilson Smith, Carrie Finch – and our Honorary Dirty Girl Mary McGee. We are a group of friends who enjoy riding motorcycles of all kinds, with a focus on off-road riding, camping and adventuring. We got the name Dirty Girls on one of the off-road riding weekends and it stuck.

Our group does not have membership rules or charter; we consider ourselves as women who bridge the gap and help bring down the barriers women encounter when beginning to ride off-road and who might be intimidated to go off-road because of lack of skill, connection and relationships. We want to encourage all women to be ‘dirty girls’ by empowering, supporting and encouraging them.

Where are you based? We are all based in Washington State, USA. We’ve been contacted by women who live out of state and love what we’re doing and want to be involved. It is wide reaching and growing – we’re excited when we are contacted by other women riders who have interest in what we’re doing and want to do it too.

Why a women-only club rather than a co-ed one? Most women ride and approach riding differently than our male counterparts. Not wrong or right, just differently. We contemplate more, weigh out options. This group clicks and even within the group we have varied riding styles, but we all understand those styles, and support each other.

While we ride with a lot of guys and have a great time, our women-only group fosters relationships with women who might not feel comfortable being in the ‘shark tank’ alone. We’ve all experienced intimidation signing up for rides that are primarily male. We know as women we will support and encourage each other, we invite new riders along who aren’t as skilled and help them feel comfortable. Plus we have WAY more fun! We have no problem stopping lake side, stripping down and jumping in! Even the men have said it’s more fun riding with the Dirty Girls!


Women Who Ride: The Dirty Girls share a laugh on Mt. Walker

The Dirty Girls share a laugh on Mt. Walker

Are there any formal bylaws or rules? We have no formal bylaws at this time. Our only rule is it’s got to be fun.

How diverse is your club? We didn’t set out to create a club or seek members; it just happened that there were a group of women, living in the same region, who love to ride and share the same passions. We are very diverse in that we all have different economic and religious backgrounds, some are single, others are married. It’s not about what we are as individuals, it’s about what we share and our common passion, which is riding. With that said, we also have a ton of fun doing non-riding activities, laugh till our cheeks hurt and just have a great time being around each other.

How do you recruit new members? We do not recruit members, but we do invite women to join us in training, riding events and weekends. We always have an open invitation for anyone interested in joining us.

Have you ever had to ask a member to leave for any reason?
No… but we know there’s always a first for everything! We have a blast after our rides and around the evening bonfire – at times we’ve had to remind each other that we might not crack that next bottle of wine because we are riding in the morning! (note: while having fun may include libations, we support each other completely in no drinking and riding).

Is there any advantage to having a formal riding club vs. just getting together with a bunch of friends and going on rides?
We like the informality of riding as a group of friends and keeping it simple, but as we have gained local attention in the riding community, creating a formal group seems like something we want to explore. We are still figuring it out. Some of the advantages are that we have been sponsored at some events and there are possibilities for that to occur more often. Having a formal group may generate more opportunity beyond a group of friends riding.

Do some of the members belong to co-ed clubs? If so, have they noticed any differences in their experiences between both clubs?
Yes most of us are involved in other riding groups as well. Dirty Girls Moto Adventures being a women’s only riding group is different in that we are more aware of the unique way women hang out together, support each other, as well as the challenges we face.

Do you do anything to encourage young girls to get into motorcycling? We encourage all girls (not just young ones) to ride! As women riders, we are a source for providing information on training, events and rides and encourage their participation. We gain attention just by being out and about and are approached all the time. Simply being at events representing women riders provides inspiration and encouragement to girls of all ages.


Do you host any regular events? We host events year round – it could be anything from single track dirt rides, street riding, weekend campouts and rides to local events. We also generate enthusiasm directed towards women to join us for larger local and regional rides, races and rallies.

Can you talk about any memorable rides or group events your club had? Heck yes!! Almost too many to list; almost every weekend we were off doing one ride or another. It doesn’t mean all 9 of us ride together all the time – we do split into smaller groups based on schedules and interest in particular rides and events. To name a few… we did the Desert 100, Riders for Health Scavenger Hunt on the Olympic Peninsula, the 24-Hour Starvation Ridge Race, the Touratech Rally, the Hoh Rainforest ride, Washington State Backcountry Discovery Route (WABDR) and lots of super fun weekend camp and rides.

We post events on our Facebook page in case others want to join us: https://www.facebook.com/DirtyGirlsMotoAdventures.

What’s the Desert 100?
The Desert 100 is an off road dirt bike race put together by a dirt riding group called the Stumpjumpers MC. It is a 100 mile course expanding across eastern Washington high desert country in Odessa, WA. A portion of the dirty girls attended this race in 2013 for the first time to participate in the Dualsport ride event. This was a led ride of offroad, dual track and single track riding. The single track portion was not expected but we rode through it quite well for our first time experience.

We went through everything from mud puddles and ½ mile whoop sections to deep silt and single track runs through tight sage brush trails. It was a blast to ride and participate in.. We witnessed the open start of the Desert 100 which is where the racers line across the horizon and open throttle to race across the desert through sage, silt, mud and ravines to the starting gate for 100 miles of severe endurance dirt racing.

Getting muddy


Can you talk a bit more about the Starvation Ridge race and what it involved? The Starvation Ridge Race started out as the Dirty Girls being asked if we would help “The Heavyweights” (a male moto group) in the pits as they competed for the first year on large CC motorcycles, KTM 990’s and larger. The Starvation Ridge 24 Hour Race is either a team competition of up to six riders, going as many laps as each individual can and switching to next rider, or a single rider going as many laps as they can in a 24 hour period. It is a race of endurance for both the motorcycles and riders.

As the discussion continued we thought “what the heck, why don’t we race?!” We had less than two months to plan, train and show up. We thought it better to race individually in the Iron Woman class so that we could help each other through the laps (as a team race only one rider is allowed on the course at a time). Two Dirty Girls helped in the pits, six raced, three did not qualify due to injuries and broken motorcycle. For the majority of us, this was a first time ever experience, with less than 6 months of trail bike time and without any experience in extreme endurance race like this. We were there for each other as support. We knew that some of us may not finish and that some of us were probably way out of our comfort zones, but we planned for it and went into this race and test of endurance knowing that we had each other’s backs.

DirtyGirls_Starvation ridge

If only to attempt it and walk away knowing that we did what others would not even think about.. It was a wonderful feeling competing and being there for each other. Cheering each of those in succession of achievements in the 22 mile course to actually placing in the top finishers.

It was an amazing and unforgettable experience.

Do you do any charity rides or events together? Dirty Girls support Riders for Health fundraisers locally though riding events, auctions and selling Riders swag. The events range anywhere from day rides to a weekend camping/scavenger hunts, volunteering booth time at motorcycle events and shows and even turned the 24 Hr Starvation Ridge ride into a fundraiser. We’ve helped raise a lot of money through these events and feel grateful we are able to support such an incredible cause.

Dirty Girls also support various causes individually whether that is something like Dogoodasyougo.org, which pairs travelers with volunteer opportunities along the journey, cancer awareness (we have cancer survivors amongst us!), local food/clothing banks, veterans, environmental causes, etc. Donating time to charities, whether as a group or individually, is something we all feel strongly about.

Records of crystals that have nothing to do with the page:
/*
1.
A plane-wave DFT calculation with GGA-PBE was carried out for RbSr2LaOs after structural relaxation.

Unit cell a=5.940 b=5.940 c=5.116 alpha=90.00 beta=90.00 gamma=90.00
Positions (direct):
Rb (0.000, 0.000, 0.000)
Sr (0.000, 0.500, 0.000)
Sr (0.500, 0.000, 0.000)
La (0.500, 0.500, 0.500)
Os (0.000, 0.000, 0.500)

Computed properties:
- electronic total energy (eV per atom) = -2.59
- D(E_F) (states/eV/atom) = 1.5946

***

2.
A plane-wave DFT calculation with GGA-PBE was carried out for RbLa2YOs after structural relaxation.

Unit cell a=5.760 b=5.760 c=5.677 alpha=90.00 beta=90.00 gamma=90.00
Positions (direct):
Rb (0.000, 0.000, 0.000)
La (0.000, 0.500, 0.500)
La (0.500, 0.000, 0.500)
Y (0.500, 0.500, 0.000)
Os (0.500, 0.500, 0.500)

Computed properties:
- electronic total energy (eV per atom) = -5.60
- D(E_F) (states/eV/atom) = 0.7781

***

3.
A plane-wave DFT calculation with GGA-PBE was carried out for La2ReOs after structural relaxation.

Unit cell a=7.466 b=7.466 c=7.466 alpha=33.07 beta=33.07 gamma=33.07
Positions (direct):
La (0.000, 0.000, 0.000)
La (0.193, 0.193, 0.193)
Re (0.417, 0.417, 0.417)
Os (0.776, 0.776, 0.776)

Computed properties:
- electronic total energy (eV per atom) = -8.38
- D(E_F) (states/eV/atom) = 1.3563

***

4.
A plane-wave DFT calculation with GGA-PBE was carried out for LaRe2Os after structural relaxation.

Unit cell a=4.640 b=4.640 c=4.640 alpha=60.00 beta=60.00 gamma=60.00
Positions (direct):
La (0.000, 0.000, 0.000)
Re (0.250, 0.250, 0.250)
Re (0.750, 0.750, 0.750)
Os (0.500, 0.500, 0.500)

Computed properties:
- electronic total energy (eV per atom) = -9.43
- D(E_F) (states/eV/atom) = 2.4314

***

5.
A plane-wave DFT calculation with GGA-PBE was carried out for LaReOs2 after structural relaxation.

Unit cell a=6.059 b=6.059 c=6.059 alpha=104.05 beta=104.05 gamma=120.97
Positions (direct):
La (0.000, 0.000, 0.000)
La (0.750, 0.250, 0.500)
Re (0.250, 0.750, 0.500)
Re (0.500, 0.500, 0.000)
Os (0.184, 0.625, 0.059)
Os (0.375, 0.434, 0.559)
Os (0.566, 0.125, 0.941)
Os (0.875, 0.816, 0.441)

Computed properties:
- electronic total energy (eV per atom) = -9.26
- D(E_F) (states/eV/atom) = 0.4244

***

6.
A plane-wave DFT calculation with GGA-PBE was carried out for LaRe2Os after structural relaxation.

Unit cell a=2.845 b=2.845 c=8.870 alpha=90.00 beta=90.00 gamma=90.00
Positions (direct):
La (0.000, 0.000, 0.000)
Re (0.500, 0.500, 0.295)
Re (0.500, 0.500, 0.705)
Os (0.000, 0.000, 0.500)

Computed properties:
- electronic total energy (eV per atom) = -9.82
- D(E_F) (states/eV/atom) = 1.1020

***

7.
A plane-wave DFT calculation with GGA-PBE was carried out for LaRe3Os after structural relaxation.

Unit cell a=4.798 b=4.798 c=4.798 alpha=90.00 beta=90.00 gamma=90.00
Positions (direct):
La (0.000, 0.000, 0.000)
Re (0.000, 0.500, 0.500)
Re (0.500, 0.000, 0.500)
Re (0.500, 0.500, 0.000)
Os (0.500, 0.500, 0.500)

Computed properties:
- electronic total energy (eV per atom) = -9.38
- D(E_F) (states/eV/atom) = 1.3365

***
*/


How did some of you get into dirt biking and how did you gain experience? Each of the Dirty Girls has a different story. Most of us recently grew into it after riding street motorcycle, then dual sport bikes. Riding off-road, dirt tracks and forestry roads really expands your seat time and riding styles so most of us for this reason expanded to riding on dirt. It was especially cool that we found other women our own age doing it.

The majority of the Dirty Girls have taken off road riding courses over the last two years. It has helped us tremendously with our confidence and abilities in a short amount of time. However, as with all things, our motorcycle joy crosses all thresholds. Some of the Dirty Girls enjoy the technical single track concentration and endurance riding while others love to just ride the quiet forest service roads and explore outside the city.

Do you have any pointers to good dirt bikes for beginning female riders? The first pointer is do it because YOU want to do it, not because someone thinks you should do it. Riding on dirt is about expanding your comfort zone and challenging yourself. Finding the right moto and starting on a motorcycle that you feel comfortable with is super important. Some riders prefer two stroke lighter weight bikes, while other riders prefer 4 stroke motorcycles, larger, more comfortable to ride that do not require gas mixing.

Take into account how much dirt riding you plan to do and type? Single or double track, adventure touring, licensed and street legal or strictly offroad? Some of the Dirty Girl group has settled on KTM 200s after a year or so of trying different motorcycle sizes and types. The KTM is a light and responsive two stroke and adaptable to adjust height for us shorter legged gals. However it means trailering the motorcycle to riding locations as it is not licensed for street righting getting from point A to point B.

If you can, take a class with a company that allows you to use or rent their dirt bikes. Also, if you have friends who have dirt bikes get out and try them on for “size”. Start out with some basics, stopping, turning on grass, figure 8s, etc. Don’t let anyone convince you to run it through ravines and over deep gravel if it is your first time out. It is a very rare occurrence that you drop a wad of cash on a motorcycle without trying it out and have it actually be the one that you love to ride. So get some seat time, see what fits you and is going to be the right bike for the type of riding you want to do.

There is no straightforward answer here. Lots of things to consider, money, type of riding, style of rider, etc. Get some good protective gear, proper dirt riding boots, proper chest and arm protection, neck protection and a helmet and get some seat time. And most importantly, have a great time!



Can you give some advice to women who want to form their own women-only riding club? This is a difficult questions to answer. We are a fairly new group of like-minded women who share the same passion for motorcycle riding and have experienced similar challenges in off-road riding. With that said, we didn’t go into this thinking we would create a riding group, it just happened. Our group is unique in that its focus is off-road riding and we feel we accomplish more collectively than individually. When riding off-road you should have a buddy and as the group has grown it allows for more opportunity to ride together and attend events that are male dominant. We started a Facebook page to share our adventures and discovered that people were interested in seeing what we were doing and wanted to follow us.

You need to start with the members that share the same passion. Our group has been riding on road for many years; the Dirty Girls group came together from our mutual passion for off-road riding. For us, it’s about having fun, laughing, encouraging and supporting each other and lifting our motorcycles when we have an off bike experience J Because we are a group it allows us to get out more often and have a kick butt time!

We think things to avoid are not letting the formalities of creating a group get in the way of why you’re a group in the first place, i.e. when it becomes more ‘business’ than fun, then it can create fractures within the group that wouldn’t be there otherwise.

We have more of a voice and presence as a group in our local motorcycle communities and are recognized as a legitimate and fast growing demographic. This gives us more influence when pitching ideas to companies about female interests.


Have you developed any close female friendships or a sense of sisterhood due to this club? Many of us definitely feel a sense of sisterhood and have learned a lot from each other. Experiencing and dealing with challenges builds trust. We feel we have each other’s back and it’s accelerated our friendships with each other.

When you ride as a group for 3-4 days through back country, dry-camping and coaching each other through the toughest trail obstacles, there’s an unspoken camaraderie that develops which has lead to wonderful, strong friendships.

Dirty Girl Carrie Finch:

“We definitely have developed a sisterhood and have learned to depend on each other. When out in the middle of the woods, far from any town, we face challenging terrain and are always afraid of wrecking or falling off our bikes. It’s not as big a worry when you know that the girls with you have your back. We have experienced mechanical failure also and worked our way through it. When you ride as a group for 3-4 days through the back country, dry-camping, and coaching each other through the toughest trail obstacles, there’s an unspoken camaraderie that develops which leads to wonderful, strong friendships.”

Dirty Girl Deb Shiell:

“When we came together for the first race ever – it is the closest that civilians get to understanding the friendships and bonds that are formed when soldiers go to war, or SWAT teams hone in on bad guys. There is a focus, a friendship and mutual understanding and awareness that forms. There is great comfort in knowing that those to your left and right have your back and will help you through any challenge.”



If someone from Washington read this interview and wanted to join your group, what would they need to do?
They can “like” our Dirty Girls Moto Adventures Facebook Page https://www.facebook.com/DirtyGirlsMotoAdventures. They can also follow us on Twitter @dirtygirlsmoto.

Dirty Girls and friends